What is crowdfunding?

_Attached: records of molecules_
********
Molecular formula: C6H7Li2O5
Method: DFT, ωB97M-V/def2-TZVPD

The geometry in XYZ format:
```
20
Properties=species:S:1:pos:R:3:nbo_charge:R:1
O 3.343 0.451 1.666 -0.790
C 2.379 0.769 0.945 0.965
O 1.601 1.726 1.201 -0.902
O 2.135 -0.035 -0.111 -0.508
C 1.259 0.360 -1.098 0.089
C 0.458 -0.629 -1.673 -0.474
H 1.163 1.436 -1.243 0.174
H 0.984 -1.527 -2.016 0.226
H -0.260 -0.270 -2.416 0.226
Li 2.824 2.019 2.751 0.963
C -0.578 -1.717 -0.166 -0.329
C -1.918 -1.061 -0.034 -0.119
O -1.761 0.269 0.422 -0.708
C -2.926 1.062 0.633 0.350
O -2.549 2.241 0.733 -0.824
H 0.073 -1.550 0.701 0.198
H -0.616 -2.740 -0.555 0.202
H -2.555 -1.595 0.694 0.198
H -2.441 -1.057 -1.005 0.183
Li -0.613 1.847 0.572 0.880
```

Highest occupied orbital energy (spin up / spin down) = -6.9 / -6.9 eV
Spin multiplicity = 2
Total charge = 0
ΔE to the lowest compared entry with this formula, charge and spin = 10.5 kcal per mole
Expectation value of S² = 0.78

* * * * *

Density functional theory data (the ωB97M-V functional and the def2-TZVPD basis) for a molecular structure, C19H14Cl2I2N3STi.

The geometry in XYZ format:
```
42
Properties=species:S:1:pos:R:3:forces:R:3
Ti 2.195 2.170 -0.227 -0.749 -0.421 1.345
I 2.059 4.281 1.811 -0.070 -0.213 -0.630
C 1.138 5.531 0.306 0.082 -0.202 -0.088
I 1.401 4.726 -1.679 0.207 -0.164 0.475
H 1.619 6.503 0.346 0.090 -0.040 -0.021
H 0.075 5.591 0.506 0.004 -0.079 0.047
Cl 4.367 2.534 -0.965 0.853 0.379 -0.647
C 5.342 1.164 -0.440 0.416 -0.654 0.251
C 6.686 1.161 -0.712 -0.053 0.344 -0.151
C 7.428 0.052 -0.304 -0.042 -0.054 0.037
C 6.825 -1.010 0.344 0.009 -0.049 0.007
C 5.463 -0.981 0.626 -0.082 0.276 -0.108
Cl 4.717 -2.277 1.450 0.061 -0.069 0.033
C 4.694 0.130 0.235 -0.031 -0.129 0.240
S 2.984 0.166 0.587 -0.145 1.330 -0.713
H 7.162 1.985 -1.227 -0.017 -0.029 -0.021
H 8.489 0.030 -0.509 -0.005 -0.024 -0.005
H 7.407 -1.873 0.640 -0.015 0.008 0.028
N -3.732 -1.316 1.091 -0.328 -0.254 -0.008
C -4.747 -2.110 0.672 0.243 0.023 -0.182
C -5.775 -2.761 1.340 -0.297 -0.211 0.161
C -6.622 -3.516 0.559 0.226 0.227 0.378
C -6.480 -3.630 -0.855 0.188 0.068 -0.445
C -5.473 -3.004 -1.525 -0.278 -0.142 -0.076
C -4.569 -2.230 -0.756 0.258 0.255 0.213
N -3.499 -1.540 -1.139 -0.332 -0.273 -0.313
C -2.988 -0.988 -0.028 0.583 0.503 0.221
C -1.844 -0.183 -0.065 -0.531 -0.357 0.099
C -1.255 0.420 1.085 0.294 0.197 -0.015
C -0.137 1.172 0.952 -0.489 -0.188 0.457
N 0.451 1.430 -0.268 -0.067 -0.082 -0.002
C -0.117 0.853 -1.383 -0.335 -0.285 -0.428
C -1.207 0.057 -1.319 0.251 0.204 -0.184
H -3.577 -1.050 2.049 0.064 0.047 0.028
H -5.901 -2.698 2.412 -0.030 0.017 -0.017
H -7.433 -4.050 1.038 -0.014 0.000 -0.004
H -7.195 -4.232 -1.398 -0.005 -0.001 0.006
H -5.356 -3.065 -2.598 0.003 -0.060 0.012
H -1.678 0.288 2.070 0.068 -0.008 0.035
H 0.348 1.590 1.827 -0.044 0.065 -0.014
H 0.353 1.070 -2.336 0.038 -0.010 0.004
H -1.620 -0.393 -2.211 0.023 0.055 -0.006
```
Positions in Å, forces in eV/Å.

Computed properties:
Gap between HOMO and LUMO (alpha / beta)   4.34 / 4.34 eV
********

Crowdfunding is an alternative form of financing for companies that has become increasingly popular in recent years. 

What comes next are molecular data, not part of the text:
'''
Computed, not measured: the molecule C3H9N2 at a distorted geometry, with ωB97M-V with the def2-TZVPD basis set.

Each atom is followed by the atoms it is bonded to, with distances in Å.
CARTESIAN COORDINATES (ANGSTROEM)
1 N 1.5075 -0.5834 -0.6459  C5 1.491, H6 1.073, H9 1.040, H14 1.035
2 N -1.9053 0.7352 -0.4920  C4 1.368, H8 0.989, H11 1.004
3 C 0.1368 -0.1325 1.4291  C5 1.466, H7 1.097, H10 1.090, H13 1.105
4 C -0.6247 0.4738 -0.8953  N2 1.368, C5 1.351, H12 1.078
5 C 0.3014 0.0281 -0.0186  N1 1.491, C3 1.466, C4 1.351
6 H 1.3456 -1.5687 -1.0400  N1 1.073
7 H -0.1485 0.7790 1.9692  C3 1.097
8 H -2.5806 1.2482 -1.0009  N2 0.989
9 H 1.8142 -0.0930 -1.5097  N1 1.040
10 H 1.0130 -0.3992 2.0203  C3 1.090
11 H -2.2034 0.3069 0.3661  N2 1.004
12 H -0.3687 0.6939 -1.9192  C4 1.078
13 H -0.5882 -0.9147 1.7188  C3 1.105
14 H 2.3010 -0.5736 0.0180  N1 1.035

Calculated values
ΔE to the lowest compared entry with this formula, charge and spin ... 45.1 kcal per mole
Spin multiplicity ... 2
E_tot ... -6233.2946 eV
Frontier orbital gap (spin up / spin down) ... 4.4 / 9.2 eV
<S²> ... 0.751
Highest occupied orbital energy (spin up / spin down) ... -3.502 / -8.482 eV

~~~~~

Below is C33H48AgCl2N8OS2 as an isolated structure, with properties calculated with ωB97M-V/def2-TZVPD.

Positions of all 95 atoms, in Å:
1 Ag -0.595 -0.005 0.570
2 C 4.109 -1.193 -1.703
3 N 3.497 0.114 -1.648
4 C 4.335 1.173 -1.145
5 C 2.107 0.214 -1.642
6 N 1.379 0.844 -0.779
7 C 1.805 1.102 0.527
8 C 2.669 0.265 1.202
9 C 3.100 0.553 2.504
10 C 2.703 1.702 3.119
11 C 1.785 2.575 2.482
12 C 1.359 3.748 3.158
13 C 0.418 4.560 2.602
14 C -0.164 4.212 1.370
15 C 0.223 3.088 0.679
16 N -0.538 2.678 -0.416
17 C -0.643 3.357 -1.490
18 N -1.679 3.089 -2.365
19 C -2.748 2.195 -1.970
20 C -1.603 3.351 -3.778
21 N 0.224 4.369 -1.933
22 C 1.605 4.330 -1.515
23 C -0.318 5.704 -2.052
24 C 1.272 2.259 1.203
25 N 1.509 -0.376 -2.718
26 C 2.189 -0.579 -3.975
27 C 0.077 -0.549 -2.763
28 H 4.813 -1.283 -2.540
29 H 3.339 -1.956 -1.799
30 H 4.658 -1.389 -0.774
31 H 4.695 0.980 -0.128
32 H 3.782 2.110 -1.132
33 H 5.199 1.289 -1.810
34 H 2.970 -0.657 0.723
35 H 3.753 -0.144 3.015
36 H 3.041 1.948 4.117
37 H 1.776 3.961 4.135
38 H 0.075 5.442 3.127
39 H -0.997 4.788 0.984
40 H -2.629 1.892 -0.935
41 H -2.732 1.283 -2.575
42 H -3.720 2.678 -2.116
43 H -0.696 3.901 -4.015
44 H -2.469 3.930 -4.116
45 H -1.596 2.410 -4.343
46 H 1.908 3.292 -1.391
47 H 1.788 4.858 -0.571
48 H 2.217 4.784 -2.300
49 H -1.356 5.662 -2.376
50 H 0.249 6.275 -2.793
51 H -0.276 6.244 -1.096
52 H 3.166 -0.105 -3.956
53 H 1.601 -0.133 -4.783
54 H 2.315 -1.644 -4.199
55 H -0.150 -1.429 -3.369
56 H -0.330 -0.699 -1.765
57 H -0.408 0.326 -3.209
58 S -0.910 -0.664 2.947
59 C -2.418 -1.564 2.765
60 C -2.867 -2.237 3.907
61 C -4.025 -2.988 3.939
62 C -4.798 -3.088 2.788
63 C -4.378 -2.430 1.647
64 C -3.208 -1.665 1.593
65 S -2.860 -0.906 0.029
66 H -2.264 -2.150 4.803
67 H -4.323 -3.486 4.855
68 H -5.716 -3.663 2.777
69 H -4.970 -2.495 0.741
'''
Back to the text:

The basic idea is that not one investor invests a large sum in a project or company, but many investors invest small amounts. This means that challenging and risky projects can be executed that a single investor would not support due to the high risk. By investing smaller amounts in several projects, the risk is spread; the investor can build his personal portfolio and minimize the risk of individual projects. In general, however, it should be noted that investments in crowdfunding are always high-risk investments.


In general, four different forms of crowdfunding are distinguished:

  1. Donation based Crowdfunding: Donors participate with very small amounts and receive no consideration. The aim is to enable projects from the social, creative, cultural and art areas.
  2. Reward based Crowdfunding: The consideration is of material nature or ideally. It can also be the early use of the project result. However, no money is paid back to the supporters.
  3. Lending based Crowdfunding: The private investor lends his money via a crowdfunding platform or directly to a company of his choice. Interest is paid in return. It is agreed that the interest and the loan need only be paid on maturity if the company can afford it without becoming insolvent. In the event of the company’s insolvency, all other senior creditors’ claims are satisfied in full first, and subordinated creditors’ claims only if this is still possible. Because of the subordination, higher interest rates are promised than with secured loans.
  4. Equity based Crowdfunding: In contrast to lending based crowdfunding, in which investors act as lenders, equity-based crowdfunding allows investors to become co-owners or shareholders of the company. This form of financing can be achieved through GmbH participations, profit participation certificates or a form as a typical silent partner. Investors are thus entitled to a regular profit share if a profit is made and to their share of the sales proceeds if the company is sold. With this form, the investors bear both an entrepreneurial risk and can therefore lose their investment amount completely.


Crowdfunding has established itself as a global umbrella term for all forms of financing made possible by a crowd. This includes all four groups mentioned above. In the German-speaking countries, however, a separation between crowdfunding and crowd-investing has developed in recent years.

Attached: records of molecules.
/*
# 1
A molecular structure, C31H48O2P2Tc at a distorted geometry, computed with the ωB97M-V functional and the def2-TZVPD basis.

Geometry as XYZ:
```
84
Properties=species:S:1:pos:R:3:lowdin_charge:R:1
Tc 0.32 0.18 -0.80 1.411
C 0.87 0.38 1.33 -0.282
C 1.92 0.87 0.46 -0.307
C 0.01 2.17 0.12 -0.275
C -0.30 1.18 1.12 -0.262
C 1.38 1.99 -0.29 -0.317
C 1.06 -0.62 2.41 -0.005
H 2.00 -1.16 2.30 0.090
H 0.20 -1.31 2.43 0.066
H 1.08 -0.12 3.39 0.113
C -1.55 1.10 1.91 -0.003
H -1.87 0.05 2.03 0.061
H -2.35 1.67 1.40 0.084
H -1.43 1.54 2.91 0.109
C -0.86 3.30 -0.31 0.000
H -0.70 4.18 0.33 0.116
H -1.92 3.01 -0.22 0.082
H -0.64 3.58 -1.34 0.084
C 2.16 2.89 -1.18 -0.019
H 2.49 3.78 -0.63 0.111
H 1.54 3.22 -2.02 0.082
H 3.05 2.39 -1.57 0.075
C 3.35 0.44 0.51 -0.013
H 3.82 0.78 1.44 0.110
H 3.90 0.84 -0.34 0.079
H 3.42 -0.66 0.47 0.090
C -1.00 -1.58 -0.92 -0.218
C 0.32 -2.02 -0.65 -0.209
C 1.26 -2.67 -1.66 -0.153
C 2.00 -1.68 -2.60 -0.174
C 1.56 -0.23 -2.53 -0.239
C 0.25 0.19 -2.92 -0.264
C -0.84 -0.78 -3.35 -0.261
C -1.64 -1.57 -2.28 -0.166
H 0.73 -3.45 -2.24 0.120
H 1.97 -2.05 -3.63 0.105
H 2.03 -3.19 -1.07 0.117
H -1.82 -2.60 -2.64 0.126
H -1.69 -1.67 -0.08 0.094
H 0.50 -2.38 0.37 0.108
H -2.65 -1.13 -2.18 0.119
H -1.58 -0.21 -3.92 0.077
H 0.16 1.21 -3.33 0.096
H -0.38 -1.55 -4.01 0.038
H 3.06 -1.69 -2.29 0.116
H 2.38 0.49 -2.61 0.105
P -0.73 -1.29 -6.22 0.928
P -0.64 1.58 -6.57 0.909
C -0.77 -0.85 -8.03 -0.383
C -1.28 0.59 -8.08 -0.423
H -1.45 -1.54 -8.56 0.102
H 0.24 -0.94 -8.48 0.093
H -0.96 1.12 -8.99 0.090
H -2.37 0.61 -8.00 0.080
C -1.48 3.08 -7.21 -0.274
H -1.12 3.98 -6.70 0.049
H -2.56 2.99 -7.02 0.053
H -1.31 3.18 -8.30 0.066
C 1.03 1.89 -7.25 -0.267
H 0.99 1.98 -8.35 0.061
H 1.71 1.07 -6.97 0.039
H 1.42 2.81 -6.82 0.051
C -2.50 -1.79 -6.12 -0.205
H -2.71 -2.14 -5.11 0.041
H -2.71 -2.58 -6.85 0.073
H -3.14 -0.92 -6.31 0.060
C 0.23 -2.83 -6.39 -0.223
H 1.17 -2.59 -6.92 0.065
H -0.34 -3.59 -6.94 0.077
H 0.49 -3.20 -5.39 0.034
O -3.53 -3.81 2.57 0.295
C -2.68 -2.94 2.88 -0.485
O -1.99 -2.14 2.17 -0.003
C -2.40 -2.87 4.38 -0.118
C -1.94 -1.70 4.99 -0.016
C -1.59 -1.68 6.35 -0.050
C -1.86 -2.80 7.15 -0.050
C -2.43 -3.95 6.58 -0.049
C -2.66 -3.98 5.20 -0.014
H -1.84 -0.79 4.39 0.102
H -1.13 -0.79 6.78 0.115
H -1.64 -2.77 8.22 0.118
H -2.69 -4.81 7.20 0.118
H -3.09 -4.89 4.75 0.122
```

Its expectation value of S² is 3.98. The strongest force on any atom comes out at 0.0846 hartree/bohr. The value obtained for the orbital gap (spin up / spin down) is 6.570 / 4.708 eV. As for the lowest unoccupied orbital energy (spin up / spin down): -6.88 / -8.48 eV. The total energy comes out at -2123.31188 a.u. Its net charge is +2. The spin multiplicity is 4.



# 2
11 unconnected molecules or ions with the total composition C21H63N6O32P5 at a distorted geometry, computed with the ωB97M-V functional and the def2-TZVPD basis.

Geometry as XYZ:
```
127
Properties=species:S:1:pos:R:3:lowdin_charge:R:1
C -19.17 11.44 -9.32 -0.121
O -19.89 11.61 -8.09 -0.231
*/
So much for the records of molecules.


Depending on the arrangement of the consideration, a distinction is made between crowdfunding and crowd-investing. If there is no consideration or only non-monetary consideration with ideal value, one speaks of crowdfunding. Unlike crowdfunding, crowd-investing involves agreeing a monetary inflow for the investor. This can be achieved, for example, through a participation, a subordinated loan or other financial instruments.


Danube Angels is a crowdinvesting platform dedicated to equity based crowdfunding, also called crowdinvesting. With Danube Angels, everyone has the opportunity to participate in interesting late seed/early stage companies from the DACH region, Czech Republic, Slovakia, Hungary and Croatia from a minimum amount of € 1.000. Further information about Danube Angels can be found here.

What is crowdfunding?